
Coverage, Billing and Financial Assistance

HepQuant is committed to improving the lives of patients suffering from Chronic Liver Disease

HepQuant is a trusted partner for Chronic Liver Disease patients and their caregivers. The HepQuant DuO™ test delivers information about your liver cell function and portal-systemic shunting, attributes of liver disease that are associated with clinical outcomes. If you have Chronic Liver Disease and your physician needs to know how your liver is functioning, he or she may have ordered a HepQuant DuO test.

HepQuant has a dedicated team of reimbursement professionals committed to providing guidance and support to its patients during each step of the insurance and reimbursement process.

Insurance Coverage

HepQuant is committed to providing our health care services to all patients. If you are uninsured or lack coverage for a service, you are encouraged to contact the HepQuant Reimbursement Team to review your financial assistance options.

HepQuant Accepts All Coverage Plans

We are here to help. Our HepQuant Reimbursement Team will make every attempt to support coverage and reimbursement for our tests which may include obtaining prior authorization, billing your health plan for the test and appealing denials on your behalf.

In the event your insurance company does not cover our testing services, patients may apply for the Financial Assistance Program at any time during the testing process

HepQuant will only send a bill after the claims have been fully processed (gone through any appeals/denials process)

Financial Assistance Program

HepQuant offers a Financial Assistance program for patients who meet the eligibility criteria to qualify for reduced financial responsibility for HepQuant services.

Click here for an Overview and More information on the Patient Assistance Program.

Apply For the Financial Assistance

Haga clic aquí para obtener una descripción general y más información sobre el Programa de asistencia al paciente.

Solicita el Programa de
Asistencia Financiera

What to Expect

1) HepQuant DuO test is ordered

Between two parts of the page: materials data:
<<<
This record from Alexandria via LeMat-Bulk describes a relaxed structure of SbCl2F. The functional is GGA-PBE.

Lattice parameters (Å, degrees): 5.4933 7.6875 11.5913 94.97 90.00 90.00
Fractional positions:
1 Sb 0.9808 0.2614 0.5940
2 Sb 0.0192 0.7386 0.4060
3 Sb 0.4808 0.2386 0.9060
4 Sb 0.5192 0.7614 0.0940
5 Cl 0.7128 0.9704 0.8805
6 Cl 0.2872 0.0296 0.1195
7 Cl 0.2128 0.5296 0.6195
8 Cl 0.7872 0.4704 0.3805
9 Cl 0.7463 0.3698 0.0557
10 Cl 0.2537 0.6302 0.9443
11 Cl 0.2463 0.1302 0.4443
12 Cl 0.7537 0.8698 0.5557
13 F 0.3203 0.6660 0.2161
14 F 0.6797 0.3340 0.7839
15 F 0.8203 0.8340 0.2839
16 F 0.1797 0.1660 0.7161

Summary:
magnetization: 0.00 μB per formula unit
density: 2.883 g/cm³
energy relative to the lowest polymorph listed for this composition: 0.00 eV per formula unit

=====

Crystalline Pm2SmC2I2 at its relaxed geometry. Source: Alexandria, functional PBE-GGA.

**Formation energy from raw total energies**: -387 meV per atom
**Total DFT energy (no corrections)**: -5.496 eV per atom

Cell lengths 9.987, 9.987, 9.987 Å; angles 153.49, 153.49, 37.84 degrees
Atoms (fractional coordinates):
Pm (0.082, 0.082, 0.000)
Pm (0.918, 0.918, 0.000)
Sm (0.500, 0.500, 0.000)
C (0.000, 0.500, 0.500)
C (0.500, 0.000, 0.500)
I (0.328, 0.328, 0.000)
I (0.672, 0.672, 0.000)

***

Crystalline Na2Li5Tl at its relaxed geometry. Source: Alexandria, functional PBE-GGA.

**ΔH_f (0 K)**: -0.0815 eV/atom
**Total DFT energy (no corrections)**: -1.903 eV per atom

Cell lengths 8.200, 8.200, 8.200 Å; angles 144.57, 144.57, 50.98 degrees
Atoms (fractional coordinates):
Na (0.244, 0.244, 0.000)
Na (0.756, 0.756, 0.000)
Li (0.099, 0.599, 0.500)
Li (0.401, 0.901, 0.500)
Li (0.500, 0.500, 0.000)
Li (0.599, 0.099, 0.500)
Li (0.901, 0.401, 0.500)
Tl (0.000, 0.000, 0.000)

***

Crystalline Y2MnCu at its relaxed geometry. Source: Alexandria, functional PBE-GGA.

**ΔH_f (0 K)**: -0.0150 eV/atom
**Total DFT energy (no corrections)**: -6.563 eV per atom

Cell lengths 3.475, 3.475, 7.169 Å; angles 90.00, 90.00, 90.00 degrees
Atoms (fractional coordinates):
Y (0.000, 0.000, 0.247)
Y (0.000, 0.000, 0.753)
Mn (0.500, 0.500, 0.500)
Cu (0.500, 0.500, 0.000)

=====

Record 1
LuPaN: optimized geometry, GGA-PBE.

Calculated values
ΔE to the lowest computed polymorph = 289 meV/atom
Symmetry = No. 107
Volume = 21.42 Å³ per atom
Total energy = -8.07 eV/atom
Size of the total moment = 0.16 μB/f.u.
ΔE_f (raw) = -0.63 eV per atom

a = 3.1620 Å, b = 3.1620 Å, c = 6.8044 Å
α = 103.44°, β = 103.44°, γ = 90.00°
Sites, in units of the cell vectors:
1 Pa 0.3224 0.3224 0.6449
2 Lu 0.0382 0.0382 0.0764
3 N 0.4894 0.4894 0.9787

---

Record 2
Lu3PaN: optimized geometry, GGA-PBE.

Calculated values
Symmetry = No. 221
Volume = 22.01 Å³ per atom
Total energy = -6.58 eV/atom
Size of the total moment = 1.09 μB/f.u.
ΔE_f (raw) = -0.30 eV per atom

a = 4.7922 Å, b = 4.7922 Å, c = 4.7922 Å
α = 90.00°, β = 90.00°, γ = 90.00°
Sites, in units of the cell vectors:
1 Pa 0.5000 0.5000 0.5000
>>>
The page goes on:

Your Hepatologist/Endocrinologist orders the test and provides us with your insurance information when the HepQuant DuO test is ordered.

2) Determining out of pocket expense

A HepQuant reimbursement specialist will reach out to provide an estimate of your potential out of pocket expense.

3) You receive what looks like a bill

You will receive an Explanation of Benefits (EOB) from your insurance plan after HepQuant submits a claim for HepQuant Duo testing. Please note this is NOT a bill, but rather a notice of how your claim has processed.

4) You may receive a bill from HepQuant.

After you receive an EOB, you may also receive a HepQuant bill. Only a HepQuant Bill is your Out-of-Pocket Expense.

If you would like to pay your bill, click here for the Patient Billing Portal.

Billing FAQ

You will receive an Explanation of Benefits (EOB) from your insurance plan after HepQuant Submits a claim for the HepQuant DuO test. Please note that this is NOT a bill. The EOB is a notice from your insurance plan indicating how it has processed the claim.

If your insurance claim is denied, with your consent, our team will work directly with your insurance provider and physician to try and obtain coverage while minimizing any financial burden.

Most insurance providers require HepQuant to bill patients for any applicable deductible, copayment and coinsurance as specified by your insurer and noted on the Explanation of Benefits (EOB). If you have any questions regarding your insurance or bill received, please reach out to us at (833) 539-9700.

You may have been paid by your insurance company and are in receipt of a check with attached correspondence to that payment. Since your insurance company has chosen to pay you directly, it is your responsibility to forward the amount reimbursed with any attached correspondence received to HepQuant, as the provider of the service, within 10 days of your receipt of that payment. For information on where to mail the check, please contact us at (833) 539-9700 or mail it to:

Inserted here: records of crystals.
'''
Material: MgPbAu6
Method: DFT, PBE
State: optimized geometry

Cell: 4.218 4.218 8.708 Å, 90.00 90.00 90.00°
Atoms (fractional coordinates):
Mg  0.000  0.000  0.500
Pb  0.000  0.000  0.000
Au  0.500  0.500  0.000
Au  0.500  0.500  0.500
Au  0.500  0.000  0.269
Au  0.500  0.000  0.731
Au  0.000  0.500  0.269
Au  0.000  0.500  0.731

Properties
The value obtained for the formation energy is -15 kJ per mole of atoms.

----------

This record from Alexandria via LeMat-Bulk describes an optimized crystal structure of Ba6Pd2PtBr3. The functional is PBE-GGA.

## Properties
energy relative to the elements, uncorrected	-1.17	eV per atom
crystal system	monoclinic

Cell lengths 7.9511, 13.7702, 8.7716 Å; angles 90.00, 107.58, 90.00 degrees
Space group C2/m (No. 12)
Asymmetric unit:
Ba1 0.2359 0.1644 0.2144 x8
Ba2 0.2428 0.5000 0.2148 x4
Pd1 0.0000 0.3335 0.0000 x4
Pt1 0.0000 0.0000 0.0000 x2
Br1 0.0000 0.1678 0.5000 x4
Br2 0.0000 0.5000 0.5000 x2

----------

# CaCo2Sb2 | Alexandria via LeMat-Bulk | PBE | relaxed
data_CaCo2Sb2
_cell_length_a 4.3043
_cell_length_b 4.3043
_cell_length_c 10.9820
_cell_angle_alpha 90.00
_cell_angle_beta 90.00
_cell_angle_gamma 90.00
_space_group_name_H-M_alt 'I 4/m m m'
_space_group_IT_number 139
'''

P.O. Box 738005
Dallas, TX  75373 – 8005

HepQuant will submit a claim to your primary insurance company and, if applicable, your secondary insurance company. Note that not all services provided are covered by all insurance companies. Please contact our billing department to provide insurance billing information at (833) 539-9700.

Yes, HepQuant does have a Financial Assistance Program. You may review the qualification process and if applicable, apply online at or please contact HepQuant at (833) 539-9700 to discuss the pre-qualification process.

• Attached: data records:
........
1.
Density functional theory data (PBE-GGA) for a geometry-optimized CsTl2InBi2 structure.

Cell: 5.554 8.657 9.539 Å, 90.00 90.00 90.00°
Atoms (fractional coordinates):
Cs 0.000 0.108 0.000
Cs 0.000 0.892 0.500
Tl 0.000 0.331 0.646
Tl 0.000 0.669 0.146
Tl 0.500 0.448 0.967
Tl 0.500 0.552 0.467
In 0.500 0.179 0.354
In 0.500 0.821 0.854
Bi 0.000 0.365 0.322
Bi 0.000 0.635 0.822
Bi 0.500 0.152 0.698
Bi 0.500 0.848 0.198

Values from the calculation:
Crystal system: orthorhombic
Space group: No. 26
Uncorrected energy, eV/atom: -2.789
Energy of formation, eV/atom: -0.11
Fermi-level density of states, states/eV/f.u.: 3.846

2.
Density functional theory data (PBE-GGA) for a geometry-optimized Ag2SI structure.

Cell: 5.025 5.025 5.025 Å, 60.00 60.00 60.00°
Atoms (fractional coordinates):
Ag 0.250 0.250 0.250
Ag 0.750 0.750 0.750
S 0.000 0.000 0.000
I 0.500 0.500 0.500

Values from the calculation:
Crystal system: cubic
Space group: No. 225
Distance to the lowest polymorph of the same formula, meV/atom: 406.3
Uncorrected energy, eV/atom: -2.466
Fermi-level density of states, states/eV/f.u.: 4.666
Formation energy (no corrections), meV per atom: 379

3.
Density functional theory data (PBE-GGA) for a geometry-optimized SrLiPbI5 structure.

Cell: 8.432 8.432 11.716 Å, 104.65 104.65 104.86°
Atoms (fractional coordinates):
Sr 0.000 0.500 0.000
Sr 0.500 0.000 0.500
Li 0.070 0.930 0.750
Li 0.930 0.070 0.250
Pb 0.383 0.617 0.750
Pb 0.617 0.383 0.250
I 0.167 0.759 0.559
I 0.171 0.291 0.819
I 0.241 0.833 0.941
I 0.291 0.171 0.319
I 0.364 0.636 0.250
I 0.636 0.364 0.750
I 0.709 0.829 0.681
I 0.759 0.167 0.059
I 0.829 0.709 0.181
I 0.833 0.241 0.441

Values from the calculation:
Crystal system: monoclinic
Space group: No. 15
Uncorrected energy, eV/atom: -2.986
Fermi-level density of states, states/eV/f.u.: 0.000
Formation energy (no corrections), meV per atom: -1104

4.
Density functional theory data (PBE-GGA) for a geometry-optimized NaTa2Pt structure.

Cell: 6.124 6.124 6.124 Å, 101.54 101.54 126.86°
Atoms (fractional coordinates):
Na 0.000 0.000 0.000
Na 0.750 0.250 0.500
Ta 0.177 0.625 0.052
Ta 0.375 0.427 0.552
Ta 0.573 0.125 0.948
Ta 0.875 0.823 0.448
Pt 0.250 0.750 0.500
Pt 0.500 0.500 0.000

Values from the calculation:
Crystal system: tetragonal
Space group: No. 122
Distance to the lowest polymorph of the same formula, meV/atom: 80.1
Uncorrected energy, eV/atom: -7.181
Energy of formation, eV/atom: 0.59
Fermi-level density of states, states/eV/f.u.: 4.786

5.
Density functional theory data (PBE-GGA) for a geometry-optimized Ag4PdAu7 structure.

Cell: 5.067 5.890 7.692 Å, 78.75 70.98 89.87°
Atoms (fractional coordinates):
Ag 0.000 0.166 0.333
Ag 0.000 0.834 0.667
Ag 0.498 0.417 0.334
Ag 0.502 0.583 0.666
Pd 0.000 0.000 0.000
Au 0.000 0.500 0.000
Au 0.001 0.669 0.333
Au 0.494 0.082 0.667
Au 0.499 0.248 0.000
Au 0.501 0.752 0.000
Au 0.506 0.918 0.333
Au 0.999 0.331 0.667

Values from the calculation:
Crystal system: triclinic
Space group: No. 2
........

Do NOT call your doctor, as only HepQuant specialists will be able to assist you with billing inquiries.

Please call us at (833) 539-9700 or email

Contact our Reimbursement Specialists.

We are happy to help